I just want a grown ass Spiderman dropping jokes and shade. Why is it so hard?
donald glover?
I just want a grown ass Spiderman dropping jokes and shade. Why is it so hard?
"Certain Affinity decided to have you hung by your gravity wells and your spires paraded through the breakroom. But ultimately, the terms of your hotfix are up to me."
"I am already Super Cragmire."
"When you first did test for 343, were you blinded by it's bureaucracy?"
"Paid? Credited?"
"Yet the spawns were able to evade your repro steps, ship out to matchmaking, and desecrate it with enemies spawning on our flags?
"Senior managers.. surely you understand that once the bug was found.."
*Mumbling heard from upper level management*
"You were right to focus your attention on Relay, but this spawn bug, this.. edge case.."
"By the time I learned this was someone's pet project, there was nothing I could do."
Yall making me happy I don't play halo. Sounds confusing."Certain Affinity decided to have you hung by your gravity wells and your spires paraded through the breakroom. But ultimately, the terms of your hotfix are up to me."
"I am already Super Cragmire."
donald glover?
I just want a grown ass Spiderman dropping jokes and shade. Why is it so hard?
I'm still shook on how bad Amazing Spider-Man 2 was
like shit man
You liked the cocktease rhino fight? K.Were we supposed to be happy at the end? Cause I was.
Can we talk about Jamie? Actually, ain't pretty much all the characters done by damn good actors?Those garbage movies make me forget garfield is a good actor
And then I pop on social network and never let me go and remember that this dude is gonna go places when he gets out of this shit
You liked the cocktease rhino fight? K.
Can we talk about Jamie? Actually, ain't pretty much all the characters done by damn good actors?
you didnt like walking door mat simp Tobey Maguire?
You liked the cocktease rhino fight? K.
Isn't that what Peter Parker is?
I just want a grown ass Spiderman dropping jokes and shade. Why is it so hard?
They feel like movies made just so they won't lose the license. Just put ANYTHING on the screen, doesn't matter what the fuck it is, we'll get some indie guy with no power like Marc Webb and throw a bunch of money at it'll, that'll work.
look at this nigga's face tattoo man...look like some shit he got drunk back in middle school reading Spawn comics
I feel sorry for that kid
look at this nigga's face tattoo man...look like some shit he got drunk back in middle school reading Spawn comics
I feel sorry for that kid
nintendo should buy Sony.That requires other heroes to exist in his universe, with out them, you will forever get the same stories rebooted origins and trying to keep him super youthful.
Not to make money now. To possibly make money later so they don't loose that license. Which may not even work out, with ya know sony exploding and all.
Parker was never a simp. If anything he kind of punched above his wait romantically. I mean he was fresh out of highschool was dating Betty Brant who was like 10 years at least older than him.
amare stoudemire really fell off
# These materials data were left in the article by mistake
........
Record 1
For NaPr2O4, a crystal structure in OQMD, relaxed with PBE gives the computed powder X-ray diffraction pattern in this record (a wavelength of 1.5418 Å).
Neutral-atom scattering factors, no anomalous dispersion.

Principal peaks in the range 2θ from 15° to 90°, sorted by position:
2θ/deg	Rel. int.
15.2	100
29.2	84
30.6	48
35.5	53
38.8	20
46.6	36
51.0	47
53.5	22
60.7	25
71.6	18

Structural model:
Lattice parameters (Å, degrees): 7.1612 7.1612 7.1612 60.00 60.00 60.00
Fractional positions:
Na 0.1250 0.1250 0.1250
Na 0.8750 0.8750 0.8750
Pr 0.0000 0.5000 0.5000
Pr 0.5000 0.0000 0.5000
Pr 0.5000 0.5000 0.0000
Pr 0.5000 0.5000 0.5000
O 0.2650 0.2650 0.2650
O 0.2650 0.2650 0.7051
O 0.2650 0.7051 0.2650
O 0.2949 0.7350 0.7350
O 0.7051 0.2650 0.2650
O 0.7350 0.2949 0.7350
O 0.7350 0.7350 0.2949
O 0.7350 0.7350 0.7350

Record 2
For NaPrTeO, a crystal structure in OQMD, relaxed with PBE gives the computed powder X-ray diffraction pattern in this record (a wavelength of 1.5418 Å).
Neutral-atom scattering factors, no anomalous dispersion.

Principal peaks in the range 2θ from 15° to 90°, sorted by position:
2θ/deg	Rel. int.
16.4	24
22.4	37
26.5	40
27.6	83
27.8	100
31.2	49
36.1	28
36.3	28
37.4	49
42.6	33

Structural model:
Lattice parameters (Å, degrees): 7.5886 7.8722 6.8314 90.00 100.59 90.00
Fractional positions:
Na 0.1177 0.2178 0.4847
Na 0.1177 0.2822 0.9847
Na 0.8823 0.7178 0.0153
Na 0.8823 0.7822 0.5153
Pr 0.4524 0.6217 0.7738
Pr 0.4524 0.8783 0.2738
Pr 0.5476 0.1217 0.7262
Pr 0.5476 0.3783 0.2262
Te 0.1881 0.5698 0.3291
Te 0.1881 0.9302 0.8291
Te 0.8119 0.0698 0.1709
Te 0.8119 0.4302 0.6709
O 0.4163 0.1579 0.3963
O 0.4163 0.3421 0.8963
O 0.5837 0.6579 0.1037
O 0.5837 0.8421 0.6037

Record 3
For Na2Pt2O5, a crystal structure in OQMD, relaxed with PBE gives the computed powder X-ray diffraction pattern in this record (a wavelength of 1.5418 Å).
Neutral-atom scattering factors, no anomalous dispersion.

Principal peaks in the range 2θ from 15° to 90°, sorted by position:
2θ/deg	Rel. int.
17.3	100
20.1	16
21.9	19
22.7	16
24.1	18
32.3	24
35.9	44
36.3	18
40.3	32
51.4	19

Structural model:
Lattice parameters (Å, degrees): 5.0367 5.0501 5.8521 65.34 67.19 66.82
Fractional positions:
Na 0.0000 0.0000 0.0000
Na 0.3052 0.2740 0.1597
Pt 0.4936 0.4667 0.5773
Pt 0.8243 0.7972 0.5979
O 0.1085 0.6426 0.8157
O 0.1862 0.5786 0.3841
O 0.4899 0.0473 0.8181
O 0.5886 0.8582 0.3672
O 0.8460 0.2293 0.3690

Record 4
For Na5Pt3O3, a crystal structure in OQMD, relaxed with PBE gives the computed powder X-ray diffraction pattern in this record (a wavelength of 1.5418 Å).
Neutral-atom scattering factors, no anomalous dispersion.

Principal peaks in the range 2θ from 15° to 90°, sorted by position:
2θ/deg	Rel. int.
22.7	18
23.6	100
33.0	92
41.5	33
47.9	20
48.3	15
52.7	23
54.0	20
64.0	18
70.4	19

Structural model:
Lattice parameters (Å, degrees): 7.5314 7.5314 3.9157 90.00 90.00 120.00
Fractional positions:
Na 0.0000 0.7443 0.0000
Na 0.2557 0.2557 0.0000
........
# So much for the materials data
That makes no senseThat requires other heroes to exist in his universe, with out them, you will forever get the same stories rebooted origins and trying to keep him super youthful.
look at this nigga's face tattoo man...look like some shit he got drunk back in middle school reading Spawn comics
I feel sorry for that kid
As far i'm concerned that shit has been retconned.
hasn't been in Spidey: Year One or or that short time earlier this year where marvel was releasing floppies based on early spidey adventures.
i hear world war 2 should be coming to an end any day now
slayven alt confirmed
I heard Marvel changed Parker a lot since the first movies came out.
Dat shitty Raimi influence.
I'm still shook on how bad Amazing Spider-Man 2 was
like shit man
I heard Marvel changed Parker a lot since the first movies came out.
Dat shitty Raimi influence.
Who did then? I'm not a comic nerd to know the writers by name.
I would say the only real impact the og movies had was that they brought the Oborns back from obscurity.
The movies don't really have that much impact on the comics.
exclusively go after other dudes girls despite being a giant celebrity brehs
have no social life outside strip clubs and stalking InstaGram chicks brehs
Who did then? I'm not a comic nerd to know the writers by name.
exclusively go after other dudes girls despite being a giant celebrity brehs
have no social life outside strip clubs and stalking InstaGram chicks brehs
You sure about that. Any of the comic movies?
I haven't heard that one before, that's funny. I hear what you guys are saying,
Rude!DreamDrop is actually Slay's alt. He figured the only person who could compete and take his crown is himself
Wait wait is it true?
Did Drake really get punched by DIDDY last night for saying hi to Cassie?
JH JJ fjkkfdfgjkkkmmk
As far i'm concerned that shit has been retconned.
hasn't been in Spidey: Year One or or that short time earlier this year where marvel was releasing floppies based on early spidey adventures.
Wait wait is it true?
Did Drake really get punched by DIDDY last night for saying hi to Cassie?
JH JJ fjkkfdfgjkkkmmk
UPDATE: Drake allegedly dislocated his arm. There are two versions to this story. One is that Diddy dislocated the arm in the fracas with Drizzy, but there is another rumor side. That is Drake dislocated his shoulder running away from Diddy and ran into a door, dislocating his arm from his shoulder. Wild!
Theres a lot going on in Rumor Land. The latest is that Diddy punched or slapped fire out of Drake for trying to flirt with Cassie. There are already sources trying to say this never happened, but I am like Heavy D, Uh Uhn I dont agree with them. I am hearing that there is video of the whole ordeal when it happened at Club LIV in Miami last night. Seemed like Drake pushed his luck a bit and kept flirting with Cassie. Now, Drake may not know but he shouldnt mess with Diddy or his girl. People are making a big deal of Drake stealing girls, but if hes stealing them you gotta protect yo cookies better. Thats what prompted Diddy to do what he allegedly did, I guess.
Peter post spider bite was a pimp. Then Marvel decided he should be a loser perpetually.
Peter should haven taken Sable up on her offer and became king
**Attached: materials data:**
~~~
1.
# Li7Mn4CoO12
Simulated powder XRD pattern, a wavelength of 1.5418 Å. Input: the GGA+U geometry in the Materials Project.
Intensities are scaled so that the largest is 100.

Main lines, low angle first (2θ = 10–90°):
(2 0 0), 2θ = 18.26°, I = 100.0; (0 0 6), 2θ = 34.23°, I = 13.9; (1 1 -3), 2θ = 36.18°, I = 24.2; (2 0 6), 2θ = 41.28°, I = 28.3; (3 1 -3), 2θ = 44.04°, I = 58.2; (5 1 -3), 2θ = 58.00°, I = 9.3; (1 1 -9), 2θ = 61.75°, I = 13.9; (5 1 3), 2θ = 62.13°, I = 13.2

Crystal structure
a b c (Å): 9.804 2.881 15.861
angles (deg): 90.00 97.68 90.00
Space group Cm (No. 8)
One atom of each set of equivalent atoms:
Li: 0.000 0.000 0.000
Li: 0.001 0.000 0.343
Li: 0.010 0.500 0.177
Li: 0.247 0.500 0.413
Li: 0.477 0.000 0.487
Li: 0.489 0.500 0.651
Li: 0.493 0.000 0.825
Mn: 0.242 0.000 0.913
Mn: 0.242 0.500 0.741
Mn: 0.258 0.500 0.087
Mn: 0.262 0.000 0.259
Co: 0.229 0.000 0.558
O: 0.117 0.000 0.461
O: 0.129 0.500 0.951
O: 0.130 0.000 0.781
O: 0.141 0.500 0.632
O: 0.144 0.500 0.285
O: 0.148 0.000 0.129
O: 0.352 0.500 0.869
O: 0.360 0.000 0.715
O: 0.360 0.500 0.541
O: 0.365 0.000 0.362
O: 0.368 0.000 0.044
O: 0.372 0.500 0.215



2.
# Li4Mn3CoO8
Simulated powder XRD pattern, a wavelength of 1.5418 Å. Input: the GGA+U geometry in the Materials Project.
Intensities are scaled so that the largest is 100.

Main lines, low angle first (2θ = 10–90°):
(0 1 1), 2θ = 18.21°, I = 100.0; (1 1 -1), 2θ = 33.84°, I = 18.0; (1 -1 1), 2θ = 35.83°, I = 13.0; (2 1 1), 2θ = 36.14°, I = 12.6; (1 0 2), 2θ = 37.03°, I = 8.8; (1 0 -2), 2θ = 40.64°, I = 31.1; (1 -2 0), 2θ = 43.68°, I = 25.2; (2 2 2), 2θ = 44.23°, I = 24.3

Crystal structure
a b c (Å): 5.089 5.854 6.025
angles (deg): 61.62 77.13 73.72
Space group P-1 (No. 2)
One atom of each set of equivalent atoms:
Li: 0.000 0.000 0.000
Li: 0.000 0.500 0.500
Li: 0.483 0.240 0.773
Mn: 0.000 0.000 0.500
Mn: 0.499 0.746 0.758
Co: 0.000 0.500 0.000
O: 0.225 0.629 0.666
O: 0.248 0.097 0.630
O: 0.254 0.598 0.141
O: 0.262 0.132 0.130



3.
# LiMnCo3O8
Simulated powder XRD pattern, a wavelength of 1.5418 Å. Input: the GGA+U geometry in the Materials Project.
Intensities are scaled so that the largest is 100.

Main lines, low angle first (2θ = 10–90°):
(0 1 0), 2θ = 17.64°, I = 100.0; (2 1 -2), 2θ = 36.59°, I = 17.9; (0 1 4), 2θ = 36.95°, I = 9.4; (2 0 2), 2θ = 43.33°, I = 14.4; (2 2 -2), 2θ = 43.44°, I = 14.3; (0 2 4), 2θ = 44.25°, I = 13.8; (2 -1 2), 2θ = 56.11°, I = 5.1; (2 2 6), 2θ = 65.22°, I = 7.5

Crystal structure
a b c (Å): 5.744 5.983 9.902
angles (deg): 75.15 89.95 61.43
Space group P1 (No. 1)
One atom of each set of equivalent atoms:
Li: 0.000 0.000 0.000
Li: 0.495 0.008 0.491
Mn: 0.248 0.504 0.245
Mn: 0.749 0.505 0.745
Co: 0.000 0.503 0.497
Co: 0.249 0.506 0.745
Co: 0.496 0.507 0.993
Co: 0.497 0.502 0.497
Co: 0.748 0.503 0.245
Co: 0.999 0.507 0.993
O: 0.094 0.311 0.861
O: 0.107 0.305 0.366
O: 0.153 0.695 0.386
O: 0.153 0.698 0.883
O: 0.343 0.314 0.103
O: 0.345 0.313 0.607
O: 0.388 0.703 0.124
O: 0.405 0.700 0.628
~~~
I am going see Exodus on thursday
Lol can you imagine the shit Marvel would do to get him back to the status quo?They already killed Sable for giving him the time of day.
The article is interrupted by calculated crystals.
-- begin --
1.
Computed powder XRD pattern of CsRbCrI6 for CuKα, from a crystal structure in Alexandria, relaxed with GGA-PBE.

The 12 most intense peaks (5 to 70 degrees two-theta), by angle:
two_theta, Rel. int., index
11.5, 40, 0 2 0
17.2, 41, 0 2 1
23.1, 20, 2 2 0
23.8, 100, 2 0 -1
28.1, 22, 1 1 2
30.8, 18, 2 4 0
32.7, 50, 1 3 -2
33.4, 90, 3 1 1
35.0, 21, 3 3 0
50.3, 27, 2 4 3
53.6, 24, 3 7 1
54.5, 24, 4 4 2

Crystal structure
abc: 8.872 15.381 6.966
angles: 90.00 90.04 90.00
Space group C2 (No. 5)
Unique sites:
Cs 0.000 0.000 0.000
Rb 0.000 0.333 0.500
Cr 0.000 0.667 0.500
I 0.124 0.540 0.273
I 0.127 0.792 0.273
I 0.247 0.167 0.274



2.
Computed powder XRD pattern of BaMnBi2S4 for CuKα, from a crystal structure in Alexandria, relaxed with GGA-PBE.

The 12 most intense peaks (5 to 70 degrees two-theta), by angle:
two_theta, Rel. int., index
11.2, 43, 0 0 2
16.8, 19, 0 2 2
22.5, 92, 0 0 4
25.5, 80, 1 1 2
27.4, 48, 0 4 2
29.0, 100, 1 3 0
31.2, 40, 1 3 2
37.0, 62, 1 3 4
41.4, 24, 1 1 6
44.8, 23, 2 0 0
50.7, 21, 2 0 4
55.3, 21, 1 3 8

Crystal structure
abc: 4.042 14.263 15.791
angles: 90.00 90.00 90.00
Space group Cmcm (No. 63)
Unique sites:
Ba 0.000 0.034 0.250
Mn 0.000 0.224 0.750
Bi 0.000 0.351 0.012
S 0.000 0.000 0.000
S 0.000 0.344 0.649
S 0.000 0.365 0.250



3.
Computed powder XRD pattern of Ac4BrN3 for CuKα, from a crystal structure in Alexandria, relaxed with GGA-PBE.

The 12 most intense peaks (5 to 70 degrees two-theta), by angle:
two_theta, Rel. int., index
26.5, 16, 1 0 1
27.0, 44, 1 0 2
27.9, 23, 1 0 3
29.1, 42, 1 0 4
30.6, 71, 1 0 5
31.1, 36, 0 0 10
32.4, 100, 1 0 6
46.4, 83, 1 1 0
55.0, 15, 1 0 15
56.9, 41, 1 1 10
57.7, 25, 0 0 18
58.1, 18, 1 0 16

Crystal structure
abc: 3.9120 3.9120 28.7600
angles: 90.00 90.00 120.00
Space group P6_3/mmc (No. 194)
Unique sites:
Ac 0.0000 0.0000 0.1611
Ac 0.3333 0.6667 0.0538
Br 0.3333 0.6667 0.2500
N 0.0000 0.0000 0.0000
N 0.3333 0.6667 0.6171



4.
Computed powder XRD pattern of Nb3Tc for CuKα, from a crystal structure in Alexandria, relaxed with GGA-PBE.

The 2 most intense peaks (5 to 70 degrees two-theta), by angle:
two_theta, Rel. int., index
39.2, 100, 2 2 0
56.7, 17, 4 0 0

Crystal structure
abc: 6.497 6.497 6.497
angles: 90.00 90.00 90.00
Space group Fm-3m (No. 225)
Unique sites:
Nb 0.000 0.000 0.000
Nb 0.250 0.250 0.250
Tc 0.000 0.000 0.500



5.
Computed powder XRD pattern of Ce2U4As3N2 for CuKα, from a crystal structure in Alexandria, relaxed with GGA-PBE.

The 12 most intense peaks (5 to 70 degrees two-theta), by angle:
two_theta, Rel. int., index
7.2, 38, 0 0 2
14.5, 18, 0 0 4
21.9, 22, 0 0 6
29.1, 57, 1 1 2
29.3, 17, 0 0 8
31.8, 24, 1 1 4
35.9, 100, 1 1 6
40.2, 53, 2 0 0
46.2, 13, 2 0 6
50.5, 16, 2 0 8
53.5, 18, 1 1 12
58.2, 18, 2 2 0

Crystal structure
abc: 4.487 4.487 24.394
angles: 90.00 90.00 90.00
Space group I4/mmm (No. 139)
Unique sites:
Ce 0.000 0.000 0.200
U 0.000 0.500 0.082
As 0.000 0.000 0.329
As 0.000 0.000 0.500
N 0.000 0.000 0.098



6.
-- stop --
The calculated crystals stop here.
exclusively go after other dudes girls despite being a giant celebrity brehs
have no social life outside strip clubs and stalking InstaGram chicks brehs